Listing:
- - -
Computed, not measured: a relaxed Ba3NaSi2B7O20 crystal at the PBE level of DFT.

Properties
Its symmetry is C2/c. Its total energy after the MP2020 corrections is -511.04 eV per cell. For the size of the total moment, the calculation gives 8.01 μB per cell. Its formation energy is -2784 meV/atom.

a = 8.542 Å, b = 8.542 Å, c = 13.710 Å
α = 68.98°, β = 68.98°, γ = 59.98°
Fractional coordinates of all 66 atoms:
Ba (0.275, 0.147, 0.801)
Ba (0.853, 0.725, 0.699)
Ba (0.575, 0.425, 0.250)
Ba (0.725, 0.853, 0.199)
Ba (0.147, 0.275, 0.301)
Ba (0.425, 0.575, 0.750)
O (0.920, 0.103, 0.158)
O (0.458, 0.720, 0.359)
O (0.810, 0.468, 0.603)
O (0.510, 0.119, 0.315)
O (0.881, 0.490, 0.185)
O (0.597, 0.883, 0.886)
O (0.301, 0.468, 0.989)
O (0.532, 0.190, 0.897)
O (0.197, 0.983, 0.226)
O (0.946, 0.244, 0.968)
O (0.244, 0.946, 0.468)
O (0.983, 0.197, 0.726)
O (0.080, 0.897, 0.842)
O (0.403, 0.117, 0.114)
O (0.803, 0.017, 0.774)
O (0.532, 0.699, 0.511)
O (0.280, 0.542, 0.141)
O (0.756, 0.054, 0.532)
O (0.119, 0.510, 0.815)
O (0.883, 0.597, 0.386)
O (0.210, 0.085, 0.035)
O (0.733, 0.364, 0.464)
O (0.915, 0.790, 0.465)
O (0.085, 0.210, 0.535)
O (0.364, 0.733, 0.964)
O (0.054, 0.756, 0.032)
O (0.267, 0.636, 0.536)
O (0.017, 0.803, 0.274)
O (0.117, 0.403, 0.614)
O (0.790, 0.915, 0.965)
O (0.636, 0.267, 0.036)
O (0.720, 0.458, 0.859)
O (0.103, 0.920, 0.658)
O (0.490, 0.881, 0.685)
O (0.542, 0.280, 0.641)
O (0.897, 0.080, 0.342)
O (0.468, 0.301, 0.489)
O (0.190, 0.532, 0.397)
O (0.699, 0.532, 0.011)
O (0.468, 0.810, 0.103)
B (0.978, 0.861, 0.943)
B (0.004, 0.684, 0.379)
B (0.139, 0.022, 0.557)
B (0.749, 0.367, 0.967)
B (0.017, 0.983, 0.250)
B (0.996, 0.316, 0.621)
B (0.983, 0.017, 0.750)
B (0.633, 0.251, 0.533)
B (0.022, 0.139, 0.057)
B (0.251, 0.633, 0.033)
B (0.684, 0.004, 0.879)
B (0.367, 0.749, 0.467)
B (0.316, 0.996, 0.121)
B (0.861, 0.978, 0.443)
Si (0.257, 0.472, 0.509)
Si (0.528, 0.743, 0.991)
Si (0.472, 0.257, 0.009)
Si (0.743, 0.528, 0.491)
Na (0.500, 0.000, 0.500)
Na (0.000, 0.500, 0.000)

* * * * *

(one)
Density functional theory data (PBE with a Hubbard U) for crystalline Li3Fe2P3O12 at its relaxed geometry.

Results
SG ... Ia-3d

Geometry as CIF:
```
data_Li3Fe2P3O12
_cell_length_a 10.196
_cell_length_b 10.196
_cell_length_c 10.196
_cell_angle_alpha 109.47
_cell_angle_beta 109.47
_cell_angle_gamma 109.47
_space_group_name_H-M_alt 'P 1'
_space_group_IT_number 1
loop_
_space_group_symop_operation_xyz
'x,y,z'
loop_
_atom_site_label
_atom_site_type_symbol
_atom_site_fract_x
_atom_site_fract_y
_atom_site_fract_z
Li1 Li 0.125 0.250 0.375
Li2 Li 0.125 0.375 0.750
Li3 Li 0.250 0.375 0.125
Li4 Li 0.250 0.875 0.625
Li5 Li 0.375 0.125 0.250
Li6 Li 0.375 0.750 0.125
Li7 Li 0.625 0.250 0.875
Li8 Li 0.625 0.875 0.750
Li9 Li 0.750 0.125 0.375
Li10 Li 0.750 0.625 0.875
Li11 Li 0.875 0.625 0.250
Li12 Li 0.875 0.750 0.625
Fe1 Fe 0.000 0.000 0.000
Fe2 Fe 0.000 0.000 0.500
Fe3 Fe 0.000 0.500 0.000
Fe4 Fe 0.000 0.500 0.500
Fe5 Fe 0.500 0.000 0.000
Fe6 Fe 0.500 0.000 0.500
Fe7 Fe 0.500 0.500 0.000
Fe8 Fe 0.500 0.500 0.500
P1 P 0.125 0.750 0.875
P2 P 0.125 0.875 0.250
P3 P 0.250 0.125 0.875
P4 P 0.250 0.625 0.375
P5 P 0.375 0.250 0.625
P6 P 0.375 0.625 0.750
P7 P 0.625 0.375 0.250
P8 P 0.625 0.750 0.375
P9 P 0.750 0.375 0.625
P10 P 0.750 0.875 0.125
P11 P 0.875 0.125 0.750
P12 P 0.875 0.250 0.125
O1 O 0.007 0.208 0.117
O2 O 0.007 0.299 0.890
O3 O 0.091 0.708 0.701
O4 O 0.091 0.883 0.390
O5 O 0.110 0.617 0.409
O6 O 0.110 0.993 0.701
O7 O 0.117 0.007 0.208
O8 O 0.117 0.610 0.909
O9 O 0.201 0.208 0.591
O10 O 0.201 0.493 0.610
O11 O 0.208 0.117 0.007
O12 O 0.208 0.591 0.201
O13 O 0.292 0.299 0.909
O14 O 0.292 0.493 0.383
O15 O 0.299 0.890 0.007
O16 O 0.299 0.909 0.292
O17 O 0.383 0.292 0.493
O18 O 0.383 0.591 0.890
O19 O 0.390 0.091 0.883
O20 O 0.390 0.799 0.507
O21 O 0.409 0.110 0.617
O22 O 0.409 0.799 0.792
O23 O 0.493 0.383 0.292
O24 O 0.493 0.610 0.201
O25 O 0.507 0.390 0.799
O26 O 0.507 0.617 0.708
O27 O 0.591 0.201 0.208
O28 O 0.591 0.890 0.383
- - -

To do:
Please repeat the part of the block further above that starts with the line with "0.699)" and stops after the one with "0.968)".

Done:
Ba (0.853, 0.725, 0.699)
Ba (0.575, 0.425, 0.250)
Ba (0.725, 0.853, 0.199)
Ba (0.147, 0.275, 0.301)
Ba (0.425, 0.575, 0.750)
O (0.920, 0.103, 0.158)
O (0.458, 0.720, 0.359)
O (0.810, 0.468, 0.603)
O (0.510, 0.119, 0.315)
O (0.881, 0.490, 0.185)
O (0.597, 0.883, 0.886)
O (0.301, 0.468, 0.989)
O (0.532, 0.190, 0.897)
O (0.197, 0.983, 0.226)
O (0.946, 0.244, 0.968)